**Source:**
........
(1)
22
Properties=species:S:1:pos:R:3:forces:R:3 method="wB97M-V/def2-TZVPD" spin_multiplicity=1 homo_lumo_gap_ev="7.0 / 6.3" e_above_lowest_kj_mol=498.6 homo_ev="-8.02 / -7.51" largest_force_ha_per_bohr=0.0928 mol_weight_da=148.3 e_tot_ha=-700.9144
C 0.04428 -1.85174 -0.22272 -0.200 1.925 1.870
C -0.96289 -0.70338 0.16782 -1.151 -1.839 1.410
C 1.35403 -1.54562 0.56102 2.203 -0.628 -4.186
C -1.40754 0.16480 -1.05503 -0.198 -1.143 1.299
C -2.51579 1.03073 -0.40658 -2.016 1.318 -1.949
C 1.96252 1.89109 0.70228 -3.314 -1.725 0.382
O -0.38614 0.80296 -1.65669 2.093 0.405 0.830
F 3.64144 -0.17523 -0.34051 -0.854 0.332 -0.190
Si 2.10799 0.12772 0.07128 -0.330 -0.117 0.083
H -0.16287 -2.84787 0.05291 -1.015 -1.109 0.278
H 0.05754 -1.76871 -1.27454 0.962 -0.140 -1.288
H -1.94039 -1.02847 0.75405 1.950 0.126 -1.283
H -0.39043 -0.17615 0.97268 -0.814 0.655 -0.717
H 1.24659 -1.58350 1.57706 -0.849 0.143 2.814
H 2.18634 -2.33368 0.37815 -1.131 1.276 -0.062
H -1.83983 -0.56050 -1.82894 -0.190 0.537 1.003
H -2.61443 2.01512 -0.94300 -0.115 -1.051 -0.299
H -2.33993 1.47295 0.58099 0.184 -1.047 0.343
H -3.54472 0.47891 -0.51451 1.840 1.103 0.633
H 0.81142 2.01489 0.48143 2.245 0.459 -0.048
H 2.05594 2.07829 1.77572 0.301 -0.456 -0.048
H 2.63687 2.49737 0.16713 0.400 0.978 -0.873

(2)
26
Properties=species:S:1:pos:R:3:forces:R:3 method="wB97M-V/def2-TZVPD" spin_multiplicity=1 homo_lumo_gap_ev=6.0 homo_ev=-13.30 largest_force_ha_per_bohr=0.0690 total_charge=+1 mol_weight_da=390.8 e_tot_ha=-1045.4972
C -1.15113 2.97032 -0.12125 0.009 -0.129 -0.163
C -0.08600 1.95088 -0.43976 -0.004 0.480 -0.237
O 1.08213 2.26848 -0.56677 -0.057 -0.274 0.431
N -0.47948 0.62950 -0.57949 0.277 -0.408 -0.209
C -1.82800 0.28014 -1.04440 -0.459 0.295 0.553
P 0.77923 -0.55733 -0.61940 -1.671 3.127 0.130
C 1.38101 -0.17963 1.17071 0.034 0.021 -0.026
C 0.41451 -0.75353 2.12433 0.428 0.100 0.492
N 0.88753 -1.52299 3.04515 -0.250 -0.898 -0.859
O 0.50047 -1.17157 -2.28557 0.505 -0.765 0.394
C 0.17094 -2.41578 -2.31516 -0.589 0.657 -0.408
N -0.24550 -3.49117 -2.29961 0.244 -0.352 0.199
H -1.45209 3.44330 -1.05999 -0.089 0.022 0.107
H -0.71442 3.73485 0.51782 0.047 -0.013 -0.091
H -2.02316 2.53858 0.36725 -0.002 0.017 -0.092
H -2.54637 0.32052 -0.21995 0.064 -0.072 -0.016
H -2.17318 0.99322 -1.79276 0.132 -0.186 -0.149
H -1.85793 -0.72889 -1.44947 0.136 0.088 -0.113
H -0.09685 -1.58950 -0.18077 0.275 -0.260 -0.127
H 2.06700 -1.88139 -0.52297 0.767 -1.667 0.832
H 1.79015 0.26834 -1.16444 0.348 -0.702 -0.183
H 1.67015 0.85819 1.35132 -0.580 0.165 -0.292
H 2.31742 -0.73487 1.35538 0.186 1.445 0.170
H -0.66026 -0.59863 1.99355 0.074 0.364 0.226
H 0.16682 -1.94473 3.63144 0.041 -0.026 0.028
Hg 2.08703 -2.68628 1.10479 0.132 -1.029 -0.596

(3)
23
Properties=species:S:1:pos:R:3:forces:R:3 method="wB97M-V/def2-TZVPD" spin_multiplicity=1 homo_lumo_gap_ev=8.6 e_above_lowest_kj_mol=0.0 homo_ev=-12.75 largest_force_ha_per_bohr=0.0770 total_charge=+1 mol_weight_da=254.1 e_tot_ha=-698.0838 smiles="C[N+](C)=C1NCCCN1I"
C -2.17082 0.06801 -1.50111 1.271 -1.035 2.560
N -0.87757 0.63473 -1.21113 -0.217 1.571 -0.152
C -0.53080 1.90630 -1.85946 1.942 0.715 0.178
C -0.17703 0.09123 -0.24472 3.238 1.026 -0.754
N -0.55489 -1.02936 0.31179 -0.520 -3.169 2.320
C 0.19426 -1.75755 1.48655 1.134 0.404 -3.248
C 1.51878 -1.02061 1.78771 -0.656 -0.153 3.043
C 1.50993 0.44044 1.49467 -2.284 0.409 0.903
N 1.15276 0.70664 0.09745 -3.072 -0.486 -0.230
I 2.63814 0.54424 -1.32662 -0.360 -0.216 0.399
H -2.38368 0.11369 -2.50349 -0.816 0.529 -2.239
H -2.00120 -0.97411 -1.24636 -1.067 -0.112 -0.689
H -2.85143 0.51753 -0.79205 -0.813 -0.015 -0.328
H 0.14697 1.63286 -2.67672 -0.251 0.368 -0.146
H -1.34295 2.53511 -2.26706 -0.070 -0.924 0.559
H 0.09500 2.53812 -1.16999 -0.813 -0.659 -0.533
H -1.46266 -1.57642 0.12590 2.052 1.924 0.283
H 0.40920 -2.79984 1.16176 -0.062 0.766 -0.133
H -0.60627 -1.86178 2.15435 -0.427 0.375 1.891
H 2.38063 -1.40220 1.32180 0.741 -1.225 -0.952
........
**Request:**
Please retype the part of the rows above that starts with the line with "0.05754 -1.76871" and stops after the one with "0.480 -0.237".
**Done:**
H 0.05754 -1.76871 -1.27454 0.962 -0.140 -1.288
H -1.94039 -1.02847 0.75405 1.950 0.126 -1.283
H -0.39043 -0.17615 0.97268 -0.814 0.655 -0.717
H 1.24659 -1.58350 1.57706 -0.849 0.143 2.814
H 2.18634 -2.33368 0.37815 -1.131 1.276 -0.062
H -1.83983 -0.56050 -1.82894 -0.190 0.537 1.003
H -2.61443 2.01512 -0.94300 -0.115 -1.051 -0.299
H -2.33993 1.47295 0.58099 0.184 -1.047 0.343
H -3.54472 0.47891 -0.51451 1.840 1.103 0.633
H 0.81142 2.01489 0.48143 2.245 0.459 -0.048
H 2.05594 2.07829 1.77572 0.301 -0.456 -0.048
H 2.63687 2.49737 0.16713 0.400 0.978 -0.873

(2)
26
Properties=species:S:1:pos:R:3:forces:R:3 method="wB97M-V/def2-TZVPD" spin_multiplicity=1 homo_lumo_gap_ev=6.0 homo_ev=-13.30 largest_force_ha_per_bohr=0.0690 total_charge=+1 mol_weight_da=390.8 e_tot_ha=-1045.4972
C -1.15113 2.97032 -0.12125 0.009 -0.129 -0.163
C -0.08600 1.95088 -0.43976 -0.004 0.480 -0.237